=====
No. 1
ErMgAg2: optimized geometry, meta-GGA r2SCAN.

Cell lengths 4.8765, 4.8765, 4.8765 Å; angles 60.00, 60.00, 60.00 degrees
With the nearest neighbours (Å) after each atom.
Fractional positions:
1 Er 0.5000 0.5000 0.5000  8 Ag 2.99
2 Ag 0.7500 0.7500 0.7500  4 Mg 2.99, 4 Er 2.99
3 Mg 0.0000 0.0000 0.0000  8 Ag 2.99
4 Ag 0.2500 0.2500 0.2500  4 Er 2.99, 4 Mg 2.99

Computed properties:
spin magnetization	0.000	μB per formula unit
energy of formation from the pure elements	-1.17	eV per formula unit

No. 2
YHoZn2: optimized geometry, meta-GGA r2SCAN.

Cell lengths 5.0195, 5.0195, 5.0195 Å; angles 60.00, 60.00, 60.00 degrees
With the nearest neighbours (Å) after each atom.
Fractional positions:
1 Zn 0.5000 0.5000 0.5000  4 Y 3.07, 4 Ho 3.07
2 Ho 0.2500 0.2500 0.2500  8 Zn 3.07
3 Zn 0.0000 0.0000 0.0000  4 Y 3.07, 4 Ho 3.07
4 Y 0.7500 0.7500 0.7500  8 Zn 3.07

Computed properties:
spin magnetization	0.025	μB per formula unit
energy of formation from the pure elements	-1.53	eV per formula unit
=====

Your job: transcribe every line further above that contains the word "degrees".

Cell lengths 4.8765, 4.8765, 4.8765 Å; angles 60.00, 60.00, 60.00 degrees
Cell lengths 5.0195, 5.0195, 5.0195 Å; angles 60.00, 60.00, 60.00 degrees